
Showing posts from April, 2020

Is Faith Over-Rated?

(77) Some things that might be over-rated… We often assume all the lawyers questioning Jesus were “bad,” but blanket assumptions are frequently wrong. So now a rich young ruler brings his question to the poor young Galilean preacher. Read Matthew 19:16, Mark 10:17, Luke 18:18 1.        Have we ever asked this question? What sort of answers come to mind? 2.        Read Matthew 19:17a, Mark 10:18, Luke 18:19 Why would Jesus start his answer this way? a.        Would it be normal to say “Good teacher”? Or to say “good thing”? b.       If not, what might the young man’s saying “good” have meant (in either case)? 3.        When we’re looking for advice, where do we look? a.        How many of us have shelves full of good self-help books? b.       And what does Jesus’ reply tell u...

## Materials data from another source follow
- - -
No. 1
Density functional theory data (PBE) for a relaxed structure of HfP3N.

Unit cell a=4.0850 b=4.0850 c=4.0850 alpha=90.00 beta=90.00 gamma=90.00
Element x y z (fractional)
N 0.0000 0.0000 0.0000
Hf 0.5000 0.5000 0.5000
P 0.5000 0.0000 0.0000
P 0.0000 0.0000 0.5000
P 0.0000 0.5000 0.0000

Output
SG	Pm-3m


No. 2
Density functional theory data (PBE) for a relaxed structure of Hf6P2N.

Unit cell a=3.4378 b=5.6645 c=8.3288 alpha=90.93 beta=90.00 gamma=107.66
Element x y z (fractional)
Hf 0.8650 0.7300 0.4500
Hf 0.4403 0.8806 0.7541
Hf 0.1404 0.2807 0.9425
Hf 0.1350 0.2700 0.5500
P 0.7506 0.5012 0.7491
P 0.2494 0.4988 0.2509
N 0.5000 0.0000 0.5000
Hf 0.5597 0.1194 0.2459
Hf 0.8596 0.7193 0.0575

Output
- - -

How do you make the Law simpler?

(76) Relationships, Simplicity and Law So here’s Jesus, a prophet from Galilee, wandering Judea, the land of the Law. And of course, the Law is what the lawmakers want to test him on: Read Matthew 19:1-3, Mark 10:1-2 (also Luke 16:17-19, but we read that earlier). 1.        Why are the crowds following Jesus? And why are the Pharisees following him? 2.        Read Matthew 19:4-5, Mark 10:6-8, Genesis 2:22-24. Is marriage a law or a gift? 3.        Read Matthew 19:6, Mark 10:9. Is divorce in the hands of man or in the hands of God? Or – Read Mark 10:12 C ould divorce be in the hands of a woman? (And what about marriage—is that in our hands or His?) 4.        Read Matthew 19:7-9, Mark 10:3-5. Is divorce a law or a gift? 5.        Read Mark 10:10-12 (Luke 16:17-19, Matthew 5:32) Is divorce simple or complicated? a.   ...

Are we Thankful in a Time of Trouble?

(75) How do we balance our prayers? Jesus’ disciples must be getting the message by now, that there’s a lot to learn. Sometimes we need to get the message too. But, like the disciples, we also need to remember it’s about relationship with someone who knows how much we need to learn, not about getting everything right for ourselves. Read Luke 18:1-8 1.        Verse 1. Jesus tells them to pray and not lose heart. What sort of thing makes us give up? 2.        Verse 2 introduces an “unjust” judge. What do we look for in our judges? a.        What do we look for in political leaders? b.       In church leaders? 3.        At this point, who might the listeners have thought Jesus was going to criticize? 4.        Verse 3-5. Jesus could well be telling a familiar story to his listeners. People did persist ...

How do faith, forgiveness, healing and thankfulness go together?

If illness is caused by sin, maybe healing is caused by forgiveness. But if illness is just a fact of life, a random chance pandemic perhaps, who do we thank when we're healed? We should all be thanking doctors, nurses and all those front-line helpers risking their lives at this time. Will we pray for them too? And will we thank God as well? (74) Giving Thanks Jesus reminded the disciples that God forgives, we must forgive, and forgiving doesn’t make us heroes. Now he passes into Samaria again, at least according to our chronology. He’s not too far from Jerusalem. The lepers he meets would probably be a mixture of Jews and Samaritans, as they’d got more than enough problems without religious argument. 1.        Read Luke 17:11-19. Lepers generally lived outside towns and villages, perhaps forming communities together. If they know anything about Jesus, they’ll know he is a Jew. What does their crying out to Jesus in verse 13 tell us about them? 2. ...

Were we told to Rebuke and Forgive, or Forgive and Forget?

Returning to our chronological Gospel study, Jesus' listeners have probably let the whole "if someone comes back from the dead" bit fly over their heads. But "the Law and the Prophets"--that's the world they know, words they know, and obedience that they can control. We like being in control. We like knowing who's good and who's bad, who's in and who's out, and how to maintain order. We're may be not so keen on the forgiving bit though... (73) Rebuke and Forgive Jesus has just told the parable of the rich man and Lazarus. So now his listeners know: if people won’t follow Moses and the prophets, they won’t listen to someone who rises from the dead. They’re probably not thinking much about rising from the dead at the moment—a weird thought, easily ignored. But they might be wondering how the Law and the prophets apply to people following Jesus. 1.        Read Luke 17:1-2. Who are the little ones? ( Matthew 18:6 and Mark 9:42 mention th...